South Sudan’s accession to Micro-Economic and Finance Management Institute
By Chance Baniko S. OUDU
The Ministry of Finance and the Bank of South Sudan (BoSS) have signed an MOU at the ministry with Macroeconomic and Financial Management Institute (MEFMI) on the accession of South Sudan as 15th member to the block.

BoSS Governor Hon. Dr. James Alic exchanging signed document with the Executive Secretary of MEFMI Louis Kesekende,in the presence of Deputy Minister of Finance and Planning Hon. Agok Makur
Speaking during the ceremony, BoSS Governor Hon. Dr. James Alic said that the engagement between the government and the institute started way back in 2012 in Morocco. The country stands to benefit from the institute in areas of debt recording, debt management amongst others.
(Records of crystals, kept here for reference)
-- begin --
# 1
For AgPtI2, a crystal structure in Alexandria, relaxed with PBE gives the theoretical PXRD pattern in this record (Cu Kα, 1.54184 Å).
Peak positions follow from Bragg's law for the DFT cell and can differ from measured ones.

Atomic structure:
```
data_AgPtI2
_chemical_formula_sum 'Ag2 Pt2 I4'
_space_group_name_H-M_alt 'P 1'
_space_group_IT_number 1
_cell_length_a 5.7963
_cell_length_b 6.7930
_cell_length_c 6.9731
_cell_angle_alpha 77.72
_cell_angle_beta 79.39
_cell_angle_gamma 88.21
loop_
_space_group_symop_operation_xyz
'x,y,z'
loop_
_atom_site_label
_atom_site_type_symbol
_atom_site_fract_x
_atom_site_fract_y
_atom_site_fract_z
Ag1 Ag 0.0000 0.0000 0.0000
Ag2 Ag 0.2185 0.5998 0.0538
Pt1 Pt 0.7286 0.6434 0.0166
Pt2 Pt 0.8554 0.4831 0.3794
I1 I 0.1380 0.1908 0.3023
I2 I 0.4870 0.9131 0.7857
I3 I 0.5753 0.7793 0.3332
I4 I 0.9195 0.4112 0.7644
```

Top 6 peaks for 10 to 90 degrees two-theta, in order of rising 2θ:
2θ = 13.2°, I = 38.7, (0 0 1); 2θ = 13.3°, I = 46.0, (0 1 0); 2θ = 20.6°, I = 100.0, (1 1 0); 2θ = 28.9°, I = 37.5, (1 1 2); 2θ = 41.9°, I = 45.2, (2 2 0); 2θ = 43.8°, I = 39.8, (-2 2 1)

=====

# 2
For Tl2AgPtI6, a crystal structure in Alexandria, relaxed with PBE gives the theoretical PXRD pattern in this record (Cu Kα, 1.54184 Å).
Peak positions follow from Bragg's law for the DFT cell and can differ from measured ones.

Atomic structure:
```
data_Tl2AgPtI6
_chemical_formula_sum 'Tl12 Ag6 Pt6 I36'
_space_group_name_H-M_alt 'R -3 m'
_space_group_IT_number 166
_space_group_name_Hall '-R 3 2"'
_cell_length_a 7.8980
_cell_length_b 7.8980
_cell_length_c 42.3197
_cell_angle_alpha 90.00
_cell_angle_beta 90.00
_cell_angle_gamma 120.00
loop_
_atom_site_label
_atom_site_type_symbol
_atom_site_fract_x
_atom_site_fract_y
_atom_site_fract_z
Tl1 Tl 0.0000 0.0000 0.1084
Tl2 Tl 0.0000 0.0000 0.3108
Ag1 Ag 0.0000 0.0000 0.4164
Pt1 Pt 0.0000 0.0000 0.0000
Pt2 Pt 0.0000 0.0000 0.5000
I1 I 0.0038 0.5019 0.1291
I2 I 0.0062 0.5031 0.7055
```

Top 6 peaks for 10 to 90 degrees two-theta, in order of rising 2θ:
2θ = 13.6°, I = 51.7, (0 1 2); 2θ = 22.5°, I = 44.6, (1 1 0); 2θ = 28.1°, I = 100.0, (2 0 5); 2θ = 30.0°, I = 80.0, (0 2 7); 2θ = 33.7°, I = 55.9, (0 2 10); 2θ = 46.0°, I = 70.9, (2 2 0)

=====

# 3
For PuAg2I5, a crystal structure in Alexandria, relaxed with PBE gives the theoretical PXRD pattern in this record (Cu Kα, 1.54184 Å).
Peak positions follow from Bragg's law for the DFT cell and can differ from measured ones.

Atomic structure:
```
data_PuAg2I5
_chemical_formula_sum 'Pu2 Ag4 I10'
_space_group_name_H-M_alt 'C 1 m 1'
_space_group_IT_number 8
_cell_length_a 13.5203
_cell_length_b 8.9575
_cell_length_c 7.7049
_cell_angle_alpha 90.00
_cell_angle_beta 120.15
_cell_angle_gamma 90.00
loop_
_space_group_symop_operation_xyz
'x,y,z'
'x,-y,z'
'x+1/2,y+1/2,z'
'x+1/2,-y+1/2,z'
loop_
_atom_site_label
_atom_site_type_symbol
_atom_site_fract_x
_atom_site_fract_y
_atom_site_fract_z
Pu1 Pu 0.0000 0.0000 0.0000
Ag1 Ag 0.3628 0.2735 0.5387
-- stop --
BoSS governor said, “We shall do our best to catch up with the rest of the countries in the region. We are no more babies anymore.” The governor expressed optimism to the forth coming meeting and said as a country, “we need to have access to the market and develop bond market and financial markets amongst others.
The institute promised to train 13 cohorts who will become experts at home and in the region.
On the other hand, the Executive Secretary of MEFMI Louis Kesekende said his organization is thrilled to receive South Sudan as its 15th member, pointing out that he will work with the government of South Sudan on areas of capacity development to train cadres for the country.
“We have in country conferences as well as regional conferences and we are ready to respond to your needs. We have foundational and intermediate trainings as well as advanced trainings for the benefit of all member countries, he said.”
Closing the occasion, the Deputy Minister of Finance and Planning Hon. Agok Makur expressed his appreciation for the signing of the MOU and said that the government stands ready to fulfil its obligations. He pledged to pay the membership fee.
Earlier in the meeting held at BoSS premises Doctor Louis Austin Kesekende met and thanked Hon. Dr. James Alic for the warm welcome and the hospitality accorded to them by the bank since they arrived in Juba. He said the main objective of the visit was to strengthen and operationalize the relationship between South Sudan and MEFMI. He then touched on South Sudan membership to the block and said that it was approved in the last Board meeting of MEFMI. While the country has already paid its capital contribution, the membership fee remains unpaid. In this connection, he also encouraged the country to pay the membership fee as soon as possible to enable a speedy operationalization as South Sudan, which still lags behind can catch up.

He highlighted the need for South Sudan to nominate their representative to the Board of Governors of MEMFI, either from the Bank or the Ministry of Finance and Planning.